Dela via

• Between two parts of the page: quantum chemistry results:
+++
No. 1
{"formula": "BaH14O7", "method": "ωB97M-V/def2-TZVPD", "elements": ["O", "H", "O", "H", "O", "H", "O", "O", "H", "Ba", "O", "H", "H", "O", "H", "H", "H", "H", "H", "H", "H", "H"], "xyz": [[2.617, 1.444, 1.107], [3.306, 0.998, 0.552], [-0.873, -2.048, 1.747], [-0.607, -2.418, -1.640], [0.843, 2.963, -0.523], [2.489, -1.243, 0.994], [-0.751, -1.521, -1.323], [-2.907, -0.283, 0.543], [-3.592, -0.673, 0.032], [-0.111, 0.485, 0.572], [-1.304, 1.366, -1.842], [-1.048, 2.173, -2.290], [-1.619, -1.322, -1.715], [1.737, -1.576, 0.564], [0.751, 3.805, -0.096], [-3.315, -0.290, 1.384], [2.063, -2.127, -0.120], [-1.589, 0.794, -2.595], [-0.361, -2.019, 2.529], [3.106, 1.253, 1.900], [1.681, 3.018, -1.026], [-0.517, -2.780, 1.245]], "mulliken_charge": [-0.6027, 0.3301, -0.6010, 0.2762, -0.5679, 0.2549, -0.5041, -0.4698, 0.2612, 1.7033, -0.5499, 0.2811, 0.2552, -0.4867, 0.3026, 0.2601, 0.2851, 0.3058, 0.3327, 0.3235, 0.3016, 0.3087], "largest_force_ha_per_bohr": 0.0426, "energy_ev": -15242.0375, "e_homo_ev": -18.75, "e_above_lowest_ev": 1.228, "total_charge": 2}


No. 2
+++

Secure crawls of Lotus Notes with SharePoint

I recently had to prove SharePoint's ability to search Lotus Notes databases including honoring security. This meant that a user who did not have access to the Notes database should not see search result items in SharePoint. After having to dig through several how-to guides, knowledge base articles, and hotfixes, I finally got the solution to work and thought that I would post my configuration and include a lot of screen shots that I thought were lacking in other materials.

The POC Environment

With my "proof-of-concept", I had a medium SharePoint Server Farm of 2 front-end servers, an index server, and a SQL backend. Security and "locking down" of the servers was not a priority of the POC, I simply had to show that I could honor the user security settings of Notes in a SharePoint Search. For SharePoint, my server were running under a domain account: dodagency\spsservice. My default content access account was dodagency\spsindex. My Lotus Notes server was verion 6.5. I later found out that Microsoft technically only supports 4.5 and R5 versions of Lotus Notes. I did however get this to work successfully anyway. My SharePoint Portal Servers were running Windows Server 2003 SP1 before SharePoint was installed. And I made sure that I had SP1 of both WSS and SPS before I started configuring the Notes indexing.

Just a note that I used Paint to replace some of the text names of the accounts just so my customer would be protected. So if you notice the funny font or an off character size that is why.

Preparing Lotus Notes

  • Create a Notes account for the default access account (spsindex)
    Lotus Accounts Screen Shot
  • Make sure this account has read access to the server's directory (names.nsf database)
  • Make sure this account has read access to the database you wish to search. This can be done by using the ACLs on the Notes database: 
    Lotus ACL Screen Shot
  • Ultimately, we will need a view of the names.nsf database that has the NotesID (Owner) column and a column with the Windows Active Directory account. To store the domain\username string representing the WIndows AD account, I used the already created Comments Field. You could use any field or create a new one, but I went for the easy path.
    Comments Field Screen Shot
  • Now Create a new shared view in the server's directory (names.nsf) database. The view needs two columns: NotesID and WindowsID. The NotesID column needs to map to the Owner field of the names.nsf database and the WindowsID column maps to the Comments field in my configuration. The view should only include individual user accounts and not groups. Therefore the view filters for Type="Person". Despite the screen shot below, the view should be sorted on the NotesID column in ascending order. (It was too difficult to paste everything in when I modified the text). The first screen shot is the definition of the view, and the second is what the resulting view should look like.
    Definition of View screen Shot
    View Screen Shot

-- Records of molecules, as found in the file --
{"formula": "C36H85F7I2N12O8P4", "method": "the ωB97M-V functional and the def2-TZVPD basis", "elements": ["C", "C", "I", "C", "I", "C", "O", "C", "O", "O", "C", "C", "C", "C", "O", "C", "F", "F", "C", "F", "F", "C", "F", "F", "F", "H", "H", "H", "H", "H", "H", "H", "H", "H", "H", "H", "H", "H", "O", "P", "N", "C", "C", "N", "C", "C", "N", "C", "C", "H", "H", "H", "H", "H", "H", "H", "H", "H", "H", "H", "H", "H", "H", "H", "H", "H", "H", "O", "P", "N", "C", "C", "N", "C", "C", "N", "C", "C", "H", "H", "H", "H", "H", "H", "H", "H", "H", "H", "H", "H", "H", "H", "H", "H", "H", "H", "O", "P", "N", "C", "C", "N", "C", "C", "N", "C", "C", "H", "H", "H", "H", "H", "H", "H", "H", "H", "H", "H", "H", "H", "H", "H", "H", "H", "H", "O", "P", "N", "C", "C", "N", "C", "C", "N", "C", "C", "H", "H", "H", "H", "H", "H", "H", "H", "H", "H", "H", "H", "H", "H", "H", "H", "H", "H"], "positions_angstrom": [[-2.58, -0.67, 0.06], [-2.88, -1.59, 1.26], [-3.10, -0.22, 2.93], [-4.22, -2.34, 1.01], [-5.62, -2.40, 2.68], [-4.14, -3.74, 0.32], [-3.68, -3.48, -1.00], [-2.34, -3.68, -1.06], [-1.60, -3.37, -1.93], [-1.97, -4.32, 0.09], [-3.11, -4.87, 0.71], [-3.69, -6.10, -0.06], [-2.74, -6.76, -1.08], [-1.35, -7.18, -0.58], [-1.28, -8.58, -0.31], [-3.05, -5.13, 2.20], [-4.32, -5.42, 2.57], [-2.69, -4.03, 2.91], [-2.18, -6.28, 2.79], [-2.57, -6.34, 4.09], [-2.44, -7.49, 2.28], [-0.61, -6.08, 2.83], [-0.17, -5.03, 2.14], [-0.22, -5.91, 4.10], [0.01, -7.18, 2.40], [-1.51, -0.53, -0.04], [-2.95, -1.11, -0.88], [-3.06, 0.30, 0.17], [-2.04, -2.23, 1.50], [-4.76, -1.71, 0.29], [-5.16, -4.09, 0.40], [-4.07, -6.85, 0.64], [-4.57, -5.80, -0.63], [-2.66, -6.12, -1.96], [-3.24, -7.66, -1.43], [-1.03, -6.58, 0.27], [-0.64, -6.96, -1.38], [-0.81, -8.98, -1.04], [1.42, -0.85, 2.33], [2.88, -0.85, 2.01], [2.89, 0.14, 0.62], [3.83, 0.03, -0.48], [2.55, 1.53, 0.88], [2.98, -2.54, 1.61], [2.51, -2.97, 0.30], [2.39, -3.33, 2.68], [4.62, -0.72, 2.33], [5.55, -1.78, 1.97], [4.90, -0.28, 3.72], [4.82, 0.45, -0.23], [3.44, 0.58, -1.33], [3.96, -1.00, -0.81], [3.40, 2.09, 1.31], [1.72, 1.60, 1.58], [2.23, 2.03, -0.03], [1.56, -2.51, 0.01], [2.38, -4.05, 0.29], [3.25, -2.76, -0.48], [1.30, -3.33, 2.68], [2.72, -2.96, 3.65], [2.74, -4.37, 2.60], [5.42, -2.69, 2.56], [6.56, -1.41, 2.14], [5.47, -2.03, 0.92], [4.67, -1.05, 4.45], [4.30, 0.60, 3.96], [5.95, 0.01, 3.83], [1.30, 4.44, 0.76], [1.73, 5.61, 1.61], [0.34, 5.70, 2.63], [-0.19, 6.90, 3.24], [0.23, 4.57, 3.55], [1.69, 6.85, 0.38], [0.41, 7.41, -0.02], [2.45, 6.45, -0.80], [2.76, 6.57, 2.70], [3.02, 7.98, 2.46], [4.04, 5.89, 3.00], [0.40, 7.24, 4.10], [-1.20, 6.71, 3.60], [-0.28, 7.72, 2.54], [0.91, 4.67, 4.41], [0.46, 3.63, 3.03], [-0.79, 4.48, 3.92], [-0.37, 6.65, -0.16], [0.52, 7.97, -0.95], [0.05, 8.14, 0.71], [1.90, 5.76, -1.44], [3.39, 5.96, -0.51], [2.71, 7.33, -1.38], [3.63, 8.17, 1.57], [3.56, 8.37, 3.33], [2.10, 8.55, 2.38], [4.71, 5.86, 2.14], [3.84, 4.86, 3.31], [4.55, 6.38, 3.83], [-3.79, 2.40, 0.57], [-4.21, 3.80, 0.89], [-5.85, 3.55, 1.30], [-6.92, 4.51, 1.13], [-6.03, 2.80, 2.54], [-4.05, 4.48, -0.70], [-5.11, 4.28, -1.67], [-2.75, 4.15, -1.29], [-4.06, 5.38, 1.67], [-4.10, 6.62, 0.91], [-2.91, 5.41, 2.60], [-6.90, 5.31, 1.88], [-7.88, 4.00, 1.22], [-6.91, 4.97, 0.14], [-5.87, 3.44, 3.43], [-5.32, 1.98, 2.59], [-7.03, 2.37, 2.60], [-5.48, 3.25, -1.70], [-4.76, 4.54, -2.67], [-5.95, 4.95, -1.49], [-2.73, 3.13, -1.70], [-1.95, 4.23, -0.55], [-2.52, 4.85, -2.10], [-3.24, 6.76, 0.26], [-4.13, 7.45, 1.63], [-5.01, 6.70, 0.32], [-1.95, 5.40, 2.08], [-2.95, 4.54, 3.27], [-2.96, 6.30, 3.23], [2.63, -5.75, -6.24], [2.94, -4.59, -5.33], [1.64, -4.67, -4.24], [1.06, -3.54, -3.54], [1.67, -5.84, -3.38], [2.73, -3.30, -6.49], [1.38, -2.83, -6.78], [3.45, -3.57, -7.73], [3.98, -3.59, -4.30], [4.13, -2.16, -4.50], [5.31, -4.20, -4.10], [1.70, -3.19, -2.70], [0.10, -3.81, -3.12], [0.87, -2.69, -4.19], [2.39, -5.73, -2.56], [1.94, -6.73, -3.96], [0.68, -6.02, -2.96], [0.66, -3.64, -6.93], [1.39, -2.21, -7.69], [1.01, -2.17, -6.00], [2.91, -4.27, -8.38], [4.43, -3.99, -7.53], [3.60, -2.63, -8.28], [4.66, -1.90, -5.42], [4.70, -1.76, -3.65], [3.17, -1.65, -4.50], [5.92, -4.15, -5.01], [5.21, -5.25, -3.82], [5.85, -3.70, -3.30]], "molar_mass_g_mol": 1324.8, "e_homo_ev": -8.04, "orbital_gap_ev": 8.07, "total_energy_ha": -5341.36896}

Configuring SharePoint's Index Server
This next session documents the steps I took to configure the index server. The steps here are about configuring the server not content sources and indexes. Those steps follow this section.

  • On my index server, I had to make both the dodagency\spsservice and dodagency\spsindex accounts members of the Local Administrator group. I originally had just the spsservice account as a local admin, but found that my indexing process caused the Notes client to hang. I figured that this must have been a permissions issue with the automation script. Making the spsindex account (my default content access account) a local admin fixed this just fine. Again, I was interested in locking down my environment, just gettting it to work! 
  • On the index server, you must install and configure a R5 Notes client (I used 5.0.11). This is despite the fact that we are searching a R6 Notes server. The protocol handler is coded against the R5 API. When installing the client, choose a nice easy name for the installation folder and place it in the root of the drive. C:\Lotus\Notes works just fine. Avoid special characters and even spaces as it may cause problems.
  • After the installation creates this directory, go back and grant the SPS_WPG full control to the Lotus directory and all sub-items.
  • With your client, you should configure the UserID so that you can log into the client with the SharePoint account you created in the previous section. Be sure to note the password you are using as you will need to re-enter that in the config of the protocol handler. It is important to remember that once you have everything configured, you should never open the Notes client on the index server. Doing so could mess up your config and may require a reboot to get the planets to align again. 
  • Not all client installations add the Lotus directory to the machine's PATH. Modify the machine's environment variables to include the C:\Lotus\Notes value. Note that this modification will not be presented to running services until after a reboot. So reboot! 
  • It turns out that before configuring SharePoint's Notes protocol handler, you need to obtain a dll from IBM that it uses. Download the following zip file (\ and extract the lcppn201.dll file from it. This file needs to be placed in the C:\Program Files\SharePoint Portal Server\Bin folder. 
  • Run NotesSetup.exe. This is the setup program for SharePoint's Notes protocol handler. It is located in the C:\Program Files\SharePoint Portal Server\Bin folder. The following screen shots walk you through the wizard:
    Notes Setup Screen 1: specify the location you installed the Notes ini file and the client (C:\Lotus\Notes\notes.ini and C:\Lotus\Notes). My system detected this settings. Then enter the password for the Notes UserID. Since we want to honor security, do not check the checkbox at the bottom of the screen.
    Notes Setup Screen 2:  specify the configuration infromation of where the protocol handler will find our mapping view.  For my settings, I entered the name of the server (dodlotus), the name of the address book (names.nsf), the name of the view (NotesToWindows), and then the column names (NotesID and WindowsID).
  • It is likely that you may experience timeouts by the protocol hander when connecting to the Lotus Notes system. The following KB article describes the hotfix:

Configuring SharePoint Search
This next session documents the steps I took to configure the search within SharePoint. The steps here are about configuring the content sources and indexes.

  • I first setup a dedicated brand new index in the index server for my Lotus Notes content sources. This isn't a requirement, but made it easy for my to flush the index and debug by looking at the gatherer logs. I called this new index "Lotus" which you will see in some of the following screen shots.
  • With the index created, it was now time to setup the content source. The following screen shots walk you through that wizard:
    Content Source Screen 1: Select your index and choose Lotus Notes as the source type.
    Content Source Screen 2: For the name of the server, I went with selecting the ability to type the name in so I could enter a fully qualified name instead of the server's name.
    Content Source Screen 3: Select which database you you want to search.
    Content Source Screen 4: You can then choose which Notes fields should be treated as the subject and author fields. Since my database was a discussion I selected Subject and From. You must have a title field.
    Content Source Screen 5: Lastly just specify the source group.
  • So you think you are done... well if your database is web enabled you are. Unfortunately if you want the search resuilt items to open in the think Notes client you are not (remember not to test this with the client installed on the Index Server). This is because the Urls that SPS will place in the search results will start with https:// not notes:// which is what you want for the thick client to load. To translate the Urls you will need to create a Server Display Map (Screen Shot).
  • You will need to rebuild the index for the server display map to have an affect.
  • In my environment I thought that would be it as well. Unfortunately, the link in the search results screen though it had the right text, only had a blank space for the url. Interestingly, the item details page actually had the right text and Url. This was corrected after applying a hotfix. I couldn't find the public KB article for it, but when you contact Premier Support for the hotfix, just cite SR: SRQ050714601269.
